Wilson sighs, and my chest flips over on itself, burning rage officially replaced by nausea. “No, Brooke. It’s not. Though, I imagine it is a similar feeling.”

Yeah, right. He doesn’t know what I’m feeling. He doesn’t know what I’m feeling at all. Turning this book in was the last thing I wanted, compadre, I want to say. And I want to scream, If I had any self-preservation at all, I’d have set fire to both my laptop and Longstrand and the internet altogether until no copies remained!

But instead of going off on him, I find myself muttering, “I’m scared.” Boy oh boy, is that an understatement.

“Yeah, well, this is the part they don’t talk about, babe. Dream-achieving is scary. It’s grand and unexplored, and it’s been a figment of your imagination for just a little too long to seem real. Everything you’ve ever wanted is coming true. Just enjoy it.” His voice lacks sarcasm. If anything, it’s soft and genuine, and that only makes me more irritated.

“Right. Simple as that. Just enjoy it. By God, Will, I…I think you’ve just performed a miracle. A true spiritual moment of epiphany, you know?” I shut my eyes tightly. “Frankly, I think that’s somehow done a better job than just telling me to relax. And as we know, that’s the reining cure for anxiety recommended by medical professionals!”

“Yeah, yeah, whatever, smartass. Silly me, trying to make you feel better about doing something you obviously don’t want to do.”

It’s on the very tip of my tongue to tell him that he, as my agent charged with representing my best interests, should be trying to get me out of the thing I don’t want to do instead of making me feel better about doing it anyway, but a very small, nearly minuscule, rational part of me blunts the edge of my tongue.

If I’d known what I was doing enough to plan this shit at all, turning in a book you’ve never even mentioned to your agent, behind your agent’s back, would be a pretty shitty thing to do to the guy who’s gotten you all the deals you’ve ever signed. Not to mention, most writers would sacrifice themselves to an evil spirit for the chance to take my place on a three-week tour sponsored by Netflix.

I take a deep breath to bolster the resolve to say the things I know I need to say.

“I’m sorry, Will. Really. I know you’re trying,” I admit and stare down at the pavement beneath my feet. I pick at a rogue piece of grass stuck inside a crack in the concrete. “I’m a pain in the ass with the change and a pain in the ass in the air with the no-flying thing. I get it. You’re trying to make it work, and I do appreciate that. I just… I’m not socially gifted, and this is pretty overwhelming for me.”

“You’re gonna do fine, Brooke. You’re a quick-witted, bighearted human. People are drawn to that, believe it or not.”

I grimace. “Yeah?”

“Yeah. And if all else fails, at least you’ve got the dog. People love dogs.”

I look down at Benji, and he crooks his head in question. He is pretty darn cute, and he’d be even sharper in that Captain America costume if I reinstate the order.

“I’ll do the motor home thing.” The words just fall out of my mouth.

### Here the article breaks off for crystal structures
Structure and theoretical X-ray powder pattern of BaNdCo2O5 (a PBE+U-relaxed structure; a wavelength of 1.5418 Å).
Intensities are scaled so that the largest is 100.

```
BaNdCo2O5
1.0
3.915 0.000 0.000
0.000 3.940 0.000
0.000 0.000 7.898
Ba Nd Co O
1 1 2 5
Cartesian
0.000 0.000 0.000
0.000 0.000 3.971
1.957 1.970 2.074
1.957 1.970 5.874
0.000 1.970 2.508
0.000 1.970 5.496
1.957 0.000 2.413
1.957 0.000 5.511
1.957 1.970 0.032
```

Peak list (10 most intense, 2θ from 10° to 90°, sorted by position)
hkl  2theta  I/Imax
0 1 0  22.55  14
0 1 2  32.09  54
1 0 2  32.21  100
1 1 2  39.68  20
0 0 4  45.96  12
0 2 0  46.08  15
2 0 0  46.39  15
1 1 4  57.28  43
2 1 2  57.52  20
2 2 0  67.41  16

~~~~~

This entry pairs a crystal structure of La2Al with its calculated powder XRD pattern. Radiation: Cu Kα X-rays. Structure: DFT lattice parameters and positions (GGA-PBE).
Kinematic intensities with the Lorentz-polarization factor, no thermal factor.

Atomic structure:
```
data_La2Al
_chemical_formula_sum 'La8 Al4'
_symmetry_space_group_name_H-M 'C 1 m 1'
_symmetry_Int_Tables_number 8
_cell_length_a 12.2970
_cell_length_b 3.8562
_cell_length_c 8.2286
_cell_angle_alpha 90.00
_cell_angle_beta 112.03
_cell_angle_gamma 90.00
loop_
_symmetry_equiv_pos_as_xyz
'x,y,z'
'x,-y,z'

“With the editor?”

A scoff grows legs and leaps from my throat. “Do I have a choice?”

“Of course you have a choice, Brooke. I’d never dream of putting you in a truly miserable situation.”

I close my eyes tight and pinch my brain into a state of frozen blackness. There’s not enough fight left in me to stop this—not when a whole huge portion of me, specifically the vaginal region—is in complete opposition to my hesitancy in the first place. The ole hoochie-coochie wants Chase there like she wants her next breath, mental stability be damned.

“I’ll do it. Chase can come…drive the bus or whatever. I’ll behave. ‘You Won’t See Me Cry.’”

There’s a smile in Wilson’s voice, despite my own brand of musical water torture. “Great. I’ll tell Netflix.”

Someone pasted crystal structures at this point:
- - -
1.
Structure and calculated powder diffractogram of Ga10GePb3O20 (a GGA-PBE-relaxed structure; copper Kα).

Cell and atoms:
```
data_Ga10GePb3O20
_cell_length_a 9.8945
_cell_length_b 9.8945
_cell_length_c 5.1846
_cell_angle_alpha 105.02
_cell_angle_beta 105.02
_cell_angle_gamma 73.72
_symmetry_space_group_name_H-M 'P 1'
_symmetry_Int_Tables_number 1
loop_
_symmetry_equiv_pos_as_xyz
'x,y,z'
loop_
_atom_site_label
_atom_site_fract_x
_atom_site_fract_y
_atom_site_fract_z
Ga1 0.0789 0.6512 0.3934
Ga2 0.1335 0.8665 0.0000
Ga3 0.2201 0.4932 0.8744
Ga4 0.3488 0.9211 0.6066
Ga5 0.4932 0.2201 0.8744
Ga6 0.5068 0.7799 0.1256
Ga7 0.6512 0.0789 0.3934
Ga8 0.7799 0.5068 0.1256
Ga9 0.8665 0.1335 0.0000
Ga10 0.9211 0.3488 0.6066
Ge1 0.0000 0.0000 0.5000
Pb1 0.2235 0.2235 0.2903
Pb2 0.5000 0.5000 0.5000
Pb3 0.7765 0.7765 0.7097
O1 0.0456 0.8166 0.2580
O2 0.0667 0.0667 0.2489
O3 0.1031 0.3765 0.6368
O4 0.1605 0.6721 0.7692
O5 0.1834 0.9544 0.7420
O6 0.2200 0.5097 0.2378
O7 0.3279 0.8395 0.2308
O8 0.3765 0.1031 0.6368
O9 0.4018 0.4018 0.8030
O10 0.4903 0.7800 0.7622
O11 0.5097 0.2200 0.2378
O12 0.5982 0.5982 0.1970
O13 0.6235 0.8969 0.3632
O14 0.6721 0.1605 0.7692
O15 0.7800 0.4903 0.7622
O16 0.8166 0.0456 0.2580
O17 0.8395 0.3279 0.2308
O18 0.8969 0.6235 0.3632
O19 0.9333 0.9333 0.7511
O20 0.9544 0.1834 0.7420
```

The 8 most intense peaks (10° ≤ 2θ ≤ 90°), in order of rising 2θ:
- 28.2 deg, intensity 90.1
- 28.4 deg, intensity 73.8
- 29.0 deg, intensity 100.0
- 30.3 deg, intensity 71.3
- 30.8 deg, intensity 45.7
- 34.6 deg, intensity 49.1
- 35.4 deg, intensity 45.0
- 42.1 deg, intensity 34.2

---

2.
Structure and calculated powder diffractogram of In2Ni3As2 (a GGA-PBE-relaxed structure; copper Kα).

Cell and atoms:
```
data_In2Ni3As2
_cell_length_a 5.7590
_cell_length_b 5.7590
_cell_length_c 5.7590
_cell_angle_alpha 54.82
_cell_angle_beta 54.82
_cell_angle_gamma 54.82
_symmetry_space_group_name_H-M 'P 1'
_symmetry_Int_Tables_number 1
loop_
_symmetry_equiv_pos_as_xyz
'x,y,z'
loop_
_atom_site_label
_atom_site_fract_x
_atom_site_fract_y
_atom_site_fract_z
In1 0.0000 0.0000 0.0000
In2 0.5000 0.5000 0.5000
Ni1 0.0000 0.5000 0.5000
Ni2 0.5000 0.0000 0.5000
Ni3 0.5000 0.5000 0.0000
As1 0.2123 0.2123 0.2123
As2 0.7877 0.7877 0.7877
```

The 8 most intense peaks (10° ≤ 2θ ≤ 90°), in order of rising 2θ:
- 31.3 deg, intensity 77.5
- 33.8 deg, intensity 98.1
- 36.9 deg, intensity 40.9
- 38.7 deg, intensity 35.8
- 41.2 deg, intensity 45.7
- 46.7 deg, intensity 100.0
- 50.5 deg, intensity 33.4
- 71.1 deg, intensity 34.2

---

3.
Structure and calculated powder diffractogram of HoGa2Co5 (a GGA-PBE-relaxed structure; copper Kα).

Cell and atoms:
```
data_HoGa2Co5
_cell_length_a 6.0485
_cell_length_b 6.0485
_cell_length_c 6.0485
_cell_angle_alpha 145.09
_cell_angle_beta 113.12
_cell_angle_gamma 77.71
_symmetry_space_group_name_H-M 'P 1'
_symmetry_Int_Tables_number 1
loop_
_symmetry_equiv_pos_as_xyz
'x,y,z'
loop_
_atom_site_label
_atom_site_fract_x
_atom_site_fract_y
- - -

“Great.” I’ll gird my loins.

“Bye, Brooke.”

## Inserted here: records of crystals
'''
Simulated powder XRD pattern of MnSnHgCl4 for Cu Kα X-rays, from a PBE-relaxed structure.
Peak positions follow from Bragg's law for the DFT cell and can differ from measured ones.

Top 6 peaks for 5 to 70 degrees two-theta, sorted by position:
11.09 deg, intensity 56
19.18 deg, intensity 100
23.32 deg, intensity 47
26.84 deg, intensity 41
29.29 deg, intensity 64
34.55 deg, intensity 39

```
data_MnSnHgCl4
_chemical_formula_sum 'Mn4 Sn4 Hg4 Cl16'
_symmetry_space_group_name_H-M 'C 1 2/m 1'
_symmetry_Int_Tables_number 12
_symmetry_space_group_name_Hall '-C 2y'
_cell_length_a 13.3623
_cell_length_b 9.2548
_cell_length_c 8.4928
_cell_angle_alpha 90.00
_cell_angle_beta 109.98
_cell_angle_gamma 90.00
loop_
_atom_site_label
_atom_site_fract_x
_atom_site_fract_y
_atom_site_fract_z
Mn1 0.1507 0.0000 0.3012
Sn1 0.2320 0.0000 0.9100
Hg1 0.0307 0.5000 0.8066
Cl1 0.0287 0.0000 0.7146
Cl2 0.1794 0.1875 0.1258
Cl3 0.2321 0.5000 0.4290
```

----------

No. 1
For CeTm2Ga3, a cell relaxed with GGA-PBE gives the theoretical X-ray diffraction stick pattern in this record (Cu Kα X-rays).

Structure:
```
CeTm2Ga3
1.0
3.4949 0.0000 0.0000
0.0000 3.4949 0.0000
0.0000 0.0000 11.0565
Ce Tm Ga
1 2 3
Direct
0.0000 0.0000 0.0000 Ce
0.0000 0.0000 0.3392 Tm
0.0000 0.0000 0.6608 Tm
0.5000 0.5000 0.1794 Ga
0.5000 0.5000 0.5000 Ga
0.5000 0.5000 0.8206 Ga
```

Top 10 peaks for 2θ from 10° to 90°, in order of falling intensity:
d 2.536, I 100.0
d 2.471, I 47.3
d 1.439, I 34.0
d 1.477, I 17.7
d 1.747, I 16.6
d 3.495, I 15.8
d 1.268, I 10.5
d 1.843, I 9.2
d 3.685, I 9.2
d 2.053, I 7.6

***

No. 2
For Ce2TmGa2, a cell relaxed with GGA-PBE gives the theoretical X-ray diffraction stick pattern in this record (Cu Kα X-rays).

Structure:
```
Ce2TmGa2
1.0
6.1676 0.0000 0.0000
0.0000 4.2792 0.0000
-2.5433 0.0000 9.3726
Ce Tm Ga
4 2 4
Direct
0.0560 0.2500 0.3369 Ce
0.1294 0.2500 0.0616 Ce
0.8706 0.7500 0.9384 Ce
0.9440 0.7500 0.6631 Ce
0.4505 0.2500 0.7380 Tm
0.5495 0.7500 0.2620 Tm
0.3683 0.7500 0.5195 Ga
0.3683 0.7500 0.9344 Ga
0.6317 0.2500 0.0656 Ga
0.6317 0.2500 0.4805 Ga
```

Top 10 peaks for 2θ from 10° to 90°, in order of falling intensity:
d 2.523, I 100.0
d 3.107, I 96.5
d 2.387, I 49.0
d 2.140, I 48.9
d 3.433, I 45.7
d 3.124, I 36.7
d 2.443, I 31.6
d 2.644, I 29.1
d 1.298, I 28.2
d 1.750, I 22.5

***

No. 3
For CeTm2Zn2Ga2, a cell relaxed with GGA-PBE gives the theoretical X-ray diffraction stick pattern in this record (Cu Kα X-rays).

Structure:
```
CeTm2Zn2Ga2
1.0
2.2245 1.2843 9.1468
-2.2245 1.2843 9.1468
0.0000 -2.5686 9.1468
Ce Tm Zn Ga
1 2 2 2
Direct
0.0000 0.0000 0.0000 Ce
0.1281 0.1281 0.1281 Tm
0.8719 0.8719 0.8719 Tm
0.4019 0.4019 0.4019 Zn
0.5981 0.5981 0.5981 Zn
0.2573 0.2573 0.2573 Ga
0.7427 0.7427 0.7427 Ga
```

Top 10 peaks for 2θ from 10° to 90°, in order of falling intensity:
d 2.562, I 100.0
d 2.225, I 95.6
d 2.748, I 76.9
d 3.816, I 42.5
d 1.413, I 33.8
d 1.680, I 27.8
d 1.340, I 26.0
d 1.729, I 19.4
d 1.365, I 17.6
d 1.284, I 16.0

***

No. 4
'''

“Bye, Will.”

I hang up the phone and let my head fall back in despair. Benji still watches me closely, thanks to my still-very-present anxiety, but his face has melted right along with mine into acceptance. The fainting, the tour, the unbelievably hell-on-earth-ish three weeks on a bus with the man I’m embarrassingly attracted to—it’s all happening.

I give Benji’s head a scratch and stand up from my spot on the hard pavement. My ass is numb, I need a moral support glass of wine, and Benji needs some time to himself. We’re both going to be busy, busy, busy in just three short days.

Three freaking days, and then I can pretty much officially say that I’m living with the man of my fantasies turned private fan fiction turned soon-to-be published worldwide book.